Adaptive Defiance

We must resist and promote the resistance of this whack system.

We’re products of the culture in which we were raised and live. 

We form beliefs and learn behaviors that become engrained over time based on our environment and the people we interact with most.

We can call it schema formation, social learning, mimesis, or whatever fancy words we like, but culture is a strong current and we are like boats unanchored drifting wayward sometimes without even awareness of our own best interests.

## What comes next are crystal structures, not part of the page
┌──
Entry 1:
Compound: LiMn2P2O8
Source: the Materials Project
Functional: PBE with a Hubbard U
Structure: relaxed

Geometry as extended XYZ:
```
13
Lattice="-4.612 1.730 0.904 -1.492 -4.766 0.370 1.347 0.277 7.110" Properties=species:S:1:pos:R:3 pbc="T T T"
Mn -4.486 -2.624 8.328
O -0.700 -2.297 4.380
P 0.241 -2.096 5.561
O -0.421 -2.567 6.933
P -1.934 0.860 2.183
O -3.390 -2.346 2.434
O -2.225 0.449 3.621
O -3.110 -1.280 6.314
O -0.649 0.173 1.672
Li -3.018 -1.501 0.630
Mn -2.603 -1.491 4.239
O 0.583 -0.599 5.733
O -3.105 0.420 1.194
```

Results
Crystal system: monoclinic
Largest piezoelectric modulus (C/m²): 1.3
Energy of formation from the pure elements (eV/atom): -2.49
ΔE to the lowest computed polymorph (eV per atom): 0.051
Theoretical density (Mg/m³): 2.8

---

Entry 2:
Compound: LiMnPO4
Source: the Materials Project
Functional: PBE with a Hubbard U
Structure: relaxed

Geometry as extended XYZ:
```
28
Lattice="-0.890 4.742 -1.877 -10.123 -1.985 1.703 0.474 2.235 5.421" Properties=species:S:1:pos:R:3 pbc="T T T"
O -0.469 5.126 2.221
O -9.992 1.698 0.658
Mn -3.837 3.961 1.254
O -8.214 2.467 4.584
P -6.718 3.092 1.397
Mn -1.942 5.063 3.825
O -5.012 2.109 4.851
O -0.548 3.292 4.587
O -7.202 1.674 1.823
O -2.324 2.525 0.662
Li -5.048 4.345 4.035
O -3.336 3.317 3.424
O -6.218 3.893 2.616
P -3.821 1.899 3.850
Li -5.490 0.648 1.211
O -2.629 4.836 -0.456
Mn -8.595 -0.070 1.420
O -7.910 0.155 5.702
Li -0.785 4.429 0.436
Li -9.753 0.562 4.809
P -9.254 3.620 4.592
O -5.526 2.882 0.397
Mn -6.701 1.031 3.993
O -6.927 -0.771 2.615
P -1.284 1.371 0.653
O -3.612 5.762 2.632
O -10.069 -0.136 3.024
O -4.321 1.097 2.632
```

Results
Crystal system: monoclinic
Energy of formation from the pure elements (eV/atom): -2.56
ΔE to the lowest computed polymorph (eV per atom): 0.070
Theoretical density (Mg/m³): 3.3

---

Entry 3:
Compound: LiMnPO4
Source: the Materials Project
Functional: PBE with a Hubbard U
Structure: relaxed

Geometry as extended XYZ:
```
28
Lattice="5.068 -0.001 0.004 -2.528 1.468 8.009 0.002 -8.786 -0.004" Properties=species:S:1:pos:R:3 pbc="T T T"
Mn 0.005 -5.856 5.502
O 3.209 0.145 4.298
O 1.480 -3.008 1.525
Li 0.005 0.002 3.494
P 0.001 -2.929 1.037
Mn 2.538 -1.463 5.505
O 0.676 -4.247 4.295
O 4.399 -1.608 1.527
O 0.814 -1.685 4.290
O 2.543 -7.315 6.327
O 0.008 -2.922 6.327
O 4.260 -4.171 1.532
O 4.015 -7.402 1.526
O 3.349 -6.078 4.290
O 0.008 -5.859 7.501
P 0.006 -2.926 4.782
Li 2.533 -1.464 2.327
O 1.061 -7.240 4.293
P 2.541 -7.319 4.781
Li 2.540 -4.391 3.496
Mn 2.536 -4.392 0.315
Mn 0.001 0.002 0.315
O 3.595 -2.848 4.298
O 1.866 -6.001 1.523
Li 0.000 -5.857 2.323
O 2.541 -1.467 7.505
O 1.725 0.222 1.531
P 2.536 -7.323 1.037
```

Results
Energy of formation from the pure elements (eV/atom): -2.56
ΔE to the lowest computed polymorph (eV per atom): 0.071
Theoretical density (Mg/m³): 2.9

---

Entry 4:
Compound: LiMnP2O7
Source: the Materials Project
Functional: PBE with a Hubbard U
Structure: relaxed

Geometry as extended XYZ:
```
44
└──

Toxic Culture

This might be fine, of course, except there’s a problem.

As of April 24, 2022 in the US, we are living in a toxic culture. 

We don’t have to be anthropologists to see it.

Our political system grows more extreme and divided, our education system promotes debt, and our health system fosters obesity.

These are only a few of the most obvious symptoms.

Still, we strive to navigate but this is difficult as we have been conditioned by the distortions.

We don't just live in it. We are a part of it.


When we think of the word defiance, we usually assume the negative.

Defiant children are scolded and punished. 

There’s even a mental disorder called Oppositional Defiant Disorder (ODD) that psychologists diagnose when a kid has a behavior problem.

So we usually think of defiance as unhealthy or maladaptive across child development and often it is.

Not only is the defiant individual disruptive to the family, classroom, or workplace, but he may also wind up disrupting his own development, performance, and reputation.

/*
The following is a DFT calculation (PBE) of a relaxed Fe7S8 crystal.

Results
The value obtained for the offset from the most stable computed form is 0.0 kJ/mol of atoms. The calculation puts the spin magnetization at 0.20 μB/atom. The energy of formation is -650 meV per atom. Its final energy is -6.5401 eV/atom.

Lattice parameters (Å, degrees): 6.5821 6.5821 15.5669 90.00 90.00 120.00
Space group P3_121 (No. 152)
Inequivalent atoms, fractional coordinates:
Fe 0.0000 0.0188 0.1667
Fe 0.0000 0.0835 0.6667
Fe 0.0000 0.4391 0.1667
Fe 0.0148 0.5897 0.8132
Fe 0.0518 0.5352 0.3482
S 0.1188 0.2926 0.0640
S 0.1345 0.7885 0.0808
S 0.1482 0.3644 0.7615
S 0.2981 0.6485 0.9129

----------

No. 1
This record from the Materials Project database describes a relaxed MgCu3Sn4O12 crystal. The functional is PBE.

Cell lengths 6.6805, 6.6805, 6.6805 Å; angles 109.47, 109.47, 109.47 degrees
Atoms (fractional coordinates):
Mg 0.0000 0.0000 0.0000
Cu 0.0000 0.5000 0.5000
Cu 0.5000 0.0000 0.5000
Cu 0.5000 0.5000 0.0000
Sn 0.0000 0.0000 0.5000
Sn 0.0000 0.5000 0.0000
Sn 0.5000 0.0000 0.0000
Sn 0.5000 0.5000 0.5000
O 0.1372 0.8317 0.3055
O 0.1683 0.3055 0.4738
O 0.1683 0.6945 0.8628
O 0.3055 0.1372 0.8317
O 0.3055 0.4738 0.1683
O 0.4738 0.1683 0.3055
O 0.5262 0.8317 0.6945
O 0.6945 0.5262 0.8317
O 0.6945 0.8628 0.1683
O 0.8317 0.3055 0.1372
O 0.8317 0.6945 0.5262
O 0.8628 0.1683 0.6945

Results
The formation enthalpy at 0 K comes out at -1.71 eV/atom. The corrected total energy (MP2020 scheme) comes out at -123.5 eV for the cell shown. As for the energy above the most stable polymorph in this dataset: 0 meV/atom. Its total moment is 0.150 μB/atom. For the energy, the calculation gives -115.3 eV per formula unit.

No. 2
This record from the Materials Project database describes a relaxed ErMgSe3 crystal. The functional is PBE.

Cell lengths 6.8735, 6.8735, 19.1896 Å; angles 90.00, 90.00, 120.00 degrees
Atoms (fractional coordinates):
Se 0.0322 0.3408 0.9176
Se 0.9753 0.3011 0.2509
Se 0.3581 0.3655 0.4157
Se 0.6741 0.9753 0.7491
Se 0.6419 0.6345 0.5843
Se 0.3655 0.0075 0.5843
Se 0.9925 0.3581 0.5843
Se 0.0075 0.6419 0.4157
Se 0.6345 0.9925 0.4157
Se 0.6592 0.6914 0.9176
Se 0.3011 0.3259 0.7491
Se 0.3086 0.9678 0.9176
Se 0.6914 0.0322 0.0824
Se 0.9678 0.6592 0.0824
Se 0.3408 0.3086 0.0824
Se 0.6989 0.6741 0.2509
Se 0.0247 0.6989 0.7491
Se 0.3259 0.0247 0.2509
Mg 0.6667 0.3333 0.1716
Mg 0.0000 0.0000 0.8383
Mg 0.3333 0.6667 0.5050
Mg 0.0000 0.0000 0.1617
Mg 0.3333 0.6667 0.8284
Mg 0.6667 0.3333 0.4950
Er 0.3333 0.6667 0.0144
Er 0.0000 0.0000 0.3477
Er 0.6667 0.3333 0.9856
Er 0.0000 0.0000 0.6523
Er 0.6667 0.3333 0.6810
Er 0.3333 0.6667 0.3190

Results
The formation enthalpy at 0 K comes out at -1.51 eV/atom. The corrected total energy (MP2020 scheme) comes out at -145.1 eV for the cell shown. As for the energy above the most stable polymorph in this dataset: 0 meV/atom. Its total moment is 0.032 μB/atom. For the energy, the calculation gives -22.8 eV per formula unit.

No. 3
*/
== The article goes on ==

Minuchin and the Problem Child

Salvador Minuchin was a brilliant and influential child psychiatrist during the second half of the 20th century who worked with whole families instead of only the problem child.

He believed that sometimes the family member identified as the problem was really the one person in the family trying the hardest to cope with or rise above a dysfunctional family situation.

_The text is interrupted by crystal structures_
********
(1)
First-principles (PBE-GGA) data for an optimized crystal structure of Pr3ErMn6Fe2Co26, as listed in the Materials Project database.

## Properties
* spin magnetization: 57.070 μB/f.u.
* uncorrected energy: -7.259 eV per atom
* symmetry: Cm, No. 8
* DFT formation energy: -6 meV/atom

Cell: 6.387 6.387 12.782 Å, 82.81 82.81 82.83°
Sites, in units of the cell vectors:
Pr1 0.658 0.658 0.829
Pr2 0.343 0.343 0.172
Pr3 0.342 0.342 0.671
Er1 0.660 0.660 0.330
Mn1 0.002 0.002 0.248
Mn2 0.003 0.003 0.747
Mn3 0.002 0.496 0.500
Mn4 0.002 0.495 0.002
Mn5 0.495 0.002 0.002
Mn6 0.496 0.002 0.500
Fe1 0.906 0.906 0.453
Fe2 0.907 0.907 0.954
Co1 0.288 0.714 0.498
Co2 0.283 0.716 0.001
Co3 0.713 0.998 0.145
Co4 0.716 0.001 0.641
Co5 0.999 0.287 0.357
Co6 0.000 0.284 0.858
Co7 0.287 0.999 0.357
Co8 0.284 0.000 0.858
Co9 0.998 0.713 0.145
Co10 0.001 0.716 0.641
Co11 0.716 0.283 0.001
Co12 0.714 0.288 0.498
Co13 0.347 0.347 0.420
Co14 0.344 0.344 0.920
Co15 0.347 0.840 0.174
Co16 0.345 0.840 0.671
Co17 0.840 0.347 0.174
Co18 0.840 0.345 0.671
Co19 0.656 0.656 0.080
Co20 0.656 0.656 0.575
Co21 0.656 0.155 0.328
Co22 0.656 0.155 0.828
Co23 0.155 0.656 0.328
Co24 0.155 0.656 0.828
Co25 0.094 0.094 0.048
Co26 0.095 0.095 0.546

=====

(2)
First-principles (PBE-GGA) data for an optimized crystal structure of Er2Fe6Co6P7, as listed in the Materials Project database.

## Properties
* spin magnetization: 3.780 μB/f.u.
* uncorrected energy: -7.482 eV per atom
* symmetry: P-6, No. 174
* DFT formation energy: -791 meV/atom

Cell: 3.607 8.982 8.982 Å, 60.00 90.00 90.00°
Sites, in units of the cell vectors:
Er1 0.500 0.333 0.333
Er2 0.000 0.667 0.667
Fe1 0.500 0.123 0.780
Fe2 0.500 0.097 0.123
Fe3 0.500 0.780 0.097
Fe4 0.500 0.950 0.616
Fe5 0.500 0.434 0.950
Fe6 0.500 0.616 0.434
Co1 0.000 0.370 0.568
Co2 0.000 0.062 0.370
Co3 0.000 0.568 0.062
Co4 0.000 0.881 0.846
Co5 0.000 0.274 0.881
Co6 0.000 0.845 0.274
P1 0.000 0.000 0.000
P2 0.500 0.709 0.887
P3 0.500 0.404 0.709
P4 0.500 0.887 0.403
P5 0.000 0.111 0.591
P6 0.000 0.298 0.111
P7 0.000 0.591 0.298

=====

(3)
First-principles (PBE-GGA) data for an optimized crystal structure of Er6Ga21Co7, as listed in the Materials Project database.

## Properties
* spin magnetization: 1.980 μB/f.u.
* uncorrected energy: -4.620 eV per atom
* symmetry: P4/mbm, No. 127
* DFT formation energy: -480 meV/atom

Cell: 4.137 16.594 16.594 Å, 90.00 90.00 90.00°
Sites, in units of the cell vectors:
Er1 0.500 0.108 0.608
Er2 0.500 0.892 0.392
Er3 0.500 0.392 0.108
Er4 0.500 0.608 0.892
Er5 0.000 0.657 0.587
Er6 0.000 0.343 0.413
Er7 0.000 0.843 0.087
Er8 0.000 0.157 0.913
Er9 0.000 0.587 0.343
Er10 0.000 0.413 0.657
Er11 0.000 0.087 0.157
Er12 0.000 0.913 0.843
Ga1 0.000 0.000 0.500
Ga2 0.000 0.500 0.000
Ga3 0.000 0.321 0.821
Ga4 0.000 0.679 0.179
Ga5 0.000 0.179 0.321
Ga6 0.000 0.821 0.679
Ga7 0.500 0.426 0.926
Ga8 0.500 0.574 0.074
Ga9 0.500 0.074 0.426
Ga10 0.500 0.926 0.574
Ga11 0.000 0.575 0.758
Ga12 0.000 0.425 0.242
Ga13 0.000 0.925 0.258
********
_Back to the text_

That sometimes the black sheep was the one person striving for sanity.

Maybe this was a child who was oppositional, because the situation called for something. So even if the kid didn’t have the resources to effectively adapt, he was at least trying with the faulty tools he did have.

Kids rebel for a reason.

Adaptive Defiance

This is the situation we find ourselves in now with regard to personal health. 

Our toxic culture promotes poor nutrition at every turn so obesity continues to rise.

From 164 pages of USDA Dietary Guidelines that are carb-loaded and convoluted to processed food conglomerates that deceptively advertise and package nutrient-poor foods to appear nutritious and cool to the priority we place on convenience to a Food and Drug Administration that finds this tweet amusing amid a metabolic syndrome epidemic:

In this culture, an oppositional streak is required to get healthy and stay healthy.

We must behave in ways that seem ridiculous to the collective.

We must resist and promote the resistance of this whack system.

We must practice adaptive defiance!